Contents:
~~~
{"formula": "C56H44N5O3S2Ti", "method": "ωB97M-V/def2-TZVPD", "species": ["Ti", "O", "C", "N", "C", "C", "C", "C", "C", "C", "N", "C", "C", "C", "C", "C", "N", "H", "H", "H", "H", "H", "H", "H", "H", "H", "H", "C", "C", "C", "C", "N", "C", "C", "C", "C", "C", "C", "N", "H", "H", "H", "H", "H", "H", "H", "H", "C", "C", "C", "C", "C", "C", "C", "S", "O", "C", "C", "C", "C", "C", "C", "C", "C", "C", "C", "C", "C", "C", "C", "C", "C", "C", "C", "C", "C", "S", "O", "C", "C", "C", "C", "C", "C", "C", "H", "H", "H", "H", "H", "H", "H", "H", "H", "H", "H", "H", "H", "H", "H", "H", "H", "H", "H", "H", "H", "H", "H", "H", "H", "H"], "xyz": [[0.212845, 0.209725, 0.105957], [-2.684373, -2.016041, 1.929172], [-1.708994, -1.380132, 1.558991], [-1.635135, -0.484328, 0.550381], [-2.915390, -0.061798, 0.018059], [-3.307502, -0.716284, -1.284033], [-4.653911, -0.838554, -1.626306], [-4.987628, -1.378470, -2.852892], [-3.970426, -1.791272, -3.704304], [-2.666884, -1.652661, -3.265883], [-2.333200, -1.133814, -2.084959], [-0.411249, -1.523318, 2.341147], [-0.386926, -2.254481, 3.515238], [0.789858, -2.294780, 4.244813], [1.902152, -1.611019, 3.774320], [1.798402, -0.908193, 2.588519], [0.661877, -0.861320, 1.889468], [-3.698856, -0.244398, 0.755553], [-2.879902, 1.020119, -0.156154], [-5.417394, -0.518142, -0.929442], [-6.025237, -1.484142, -3.142355], [-4.181543, -2.213423, -4.677033], [-1.838470, -1.969691, -3.895347], [-1.292009, -2.758730, 3.821189], [0.838602, -2.848007, 5.173484], [2.838446, -1.615803, 4.314302], [2.632939, -0.358327, 2.174168], [-0.646707, 2.091526, -3.796199], [-1.284857, 3.290430, -3.392987], [-1.391050, 3.565424, -2.061919], [-0.874205, 2.667606, -1.099443], [-0.280605, 1.487277, -1.499317], [-0.184174, 1.251669, -2.831156], [-0.893560, 2.922473, 0.305953], [-1.550327, 4.028645, 0.895713], [-1.491079, 4.221019, 2.244524], [-0.771177, 3.303918, 3.041889], [-0.185727, 2.236694, 2.427001], [-0.237119, 2.012696, 1.094422], [-0.530892, 1.832440, -4.838719], [-1.673512, 3.982502, -4.127464], [-1.857235, 4.484259, -1.738165], [0.291528, 0.317839, -3.109162], [-2.104962, 4.717499, 0.276334], [-1.995245, 5.063960, 2.697597], [-0.693251, 3.422268, 4.112443], [0.352154, 1.497164, 3.007433], [-1.065888, -7.836445, -0.417447], [-0.676011, -6.449487, -0.840981], [0.628637, -5.984814, -0.660800], [0.992172, -4.713154, -1.060121], [0.038727, -3.894059, -1.651616], [-1.269714, -4.322323, -1.825084], [-1.615338, -5.601877, -1.420481], [0.411448, -2.233947, -2.112443], [0.934882, -1.581385, -0.836518], [1.790549, -2.419393, -3.239540], [1.306036, -2.603117, -4.559789], [2.161613, -2.625688, -5.613651], [3.547485, -2.414358, -5.412742], [4.444697, -2.379509, -6.507518], [5.775616, -2.158389, -6.308752], [6.268183, -1.961944, -5.001340], [5.426899, -1.997890, -3.926575], [4.035361, -2.225833, -4.099515], [3.129022, -2.258274, -2.984050], [3.761393, -2.175632, -1.629484], [4.425822, -3.342503, -1.126389], [4.392795, -4.583342, -1.814595], [5.020410, -5.681930, -1.301868], [5.721272, -5.601818, -0.079751], [5.779038, -4.419814, 0.598843], [5.135987, -3.264038, 0.093746], [5.209384, -2.026759, 0.786023], [4.581547, -0.925479, 0.298795], [3.851596, -1.019134, -0.907833], [2.918572, 0.408436, -1.411042], [2.256368, 0.862743, -0.105810], [4.211072, 1.582934, -1.687434], [4.895840, 1.499172, -2.891250], [5.917295, 2.399694, -3.141502], [6.246715, 3.387512, -2.215050], [7.362857, 4.355736, -2.485178], [5.521732, 3.457973, -1.027264], [4.502571, 2.560659, -0.751085], [-0.264714, -8.323819, 0.135280], [-1.298306, -8.452872, -1.287520], [-1.954771, -7.815664, 0.213515], [1.365029, -6.630113, -0.197223], [2.000232, -4.356433, -0.896302], [-2.011211, -3.657203, -2.250867], [-2.635740, -5.942343, -1.546814], [0.239902, -2.720175, -4.719516], [1.791233, -2.776327, -6.619888], [4.051627, -2.529097, -7.505413], [6.455763, -2.132451, -7.149537], [7.324539, -1.783511, -4.848810], [5.825836, -1.843801, -2.933062], [3.859193, -4.658854, -2.753233], [4.984522, -6.621127, -1.838075], [6.217085, -6.479708, 0.312578], [6.320913, -4.346728, 1.533706], [5.778676, -1.974959, 1.706099], [4.630021, 0.024767, 0.815430], [4.638340, 0.743514, -3.625507], [6.458000, 2.344264, -4.078279], [7.633934, 4.364582, -3.539582], [8.252735, 4.084758, -1.913812], [7.083599, 5.368320, -2.194926], [5.753868, 4.234148, -0.308007], [3.924719, 2.626526, 0.161299]], "forces_ev_per_a": [[0.0395, 0.6983, -0.7649], [-0.1103, 0.0439, 0.0003], [0.1233, -0.1134, 0.0241], [0.0447, -0.2841, 0.4631], [0.0102, 0.0754, -0.0762], [-0.0190, -0.1209, 0.0658], [0.0477, 0.0193, -0.0491], [-0.0396, -0.0092, 0.0255], [0.0501, 0.0055, -0.0158], [-0.1315, 0.2343, -0.0593], [-0.0970, 0.0925, -0.0398], [-0.1552, -0.0608, -0.0009], [0.0868, -0.0173, -0.0370], [-0.0364, -0.0271, 0.0080], [0.0201, 0.0083, -0.0416], [0.0040, -0.0843, -0.0041], [-0.0139, -0.2715, 0.5064], [0.0029, -0.0236, -0.0041], [0.0237, -0.0134, -0.0187], [0.0014, 0.0062, -0.0083], [0.0044, 0.0007, -0.0003], [-0.0074, -0.0033, 0.0032], [-0.0320, 0.0098, -0.0060], [0.0012, -0.0006, 0.0110], [0.0101, -0.0010, -0.0015], [-0.0079, -0.0022, 0.0126], [-0.0023, 0.0122, 0.0061], [-0.0177, 0.0348, -0.0045], [0.0152, -0.0242, -0.0140], [-0.0050, -0.0413, 0.0400], [0.0350, 0.1265, -0.0573], [-0.2015, 0.0215, 0.1748], [0.0325, -0.1427, -0.0502], [-0.0443, 0.0736, -0.0328], [0.0764, -0.0144, -0.0134], [0.0176, -0.0295, 0.0327], [-0.0283, 0.0502, -0.0170], [0.0524, -0.0757, -0.0045], [-0.1094, 0.2261, -0.1002], [-0.0068, 0.0101, 0.0023], [0.0034, -0.0045, -0.0040], [-0.0012, 0.0001, -0.0073], [0.0014, 0.0004, 0.0068], [0.0061, 0.0063, 0.0019], [0.0029, -0.0021, 0.0032], [-0.0055, 0.0062, -0.0011], [-0.0063, -0.0080, -0.0046], [0.0004, -0.0259, 0.0082], [0.0215, 0.0031, 0.0114], [-0.0314, -0.0172, -0.0080], [0.0017, 0.0163, 0.0442], [0.0768, -0.0941, 0.0223], [-0.0530, -0.0313, 0.0000], [0.0064, -0.0068, -0.0189], [0.0249, 0.0107, 0.0817], [0.0467, 0.1528, -0.1737], [0.0293, -0.0489, 0.0116], [0.0646, -0.0031, -0.0239], [0.0004, 0.0009, -0.0167], [-0.0230, -0.0080, -0.0562], [0.0000, 0.0088, 0.0137], [0.0062, 0.0059, -0.0001], [0.0117, -0.0003, -0.0112], [-0.0316, -0.0193, 0.0117], [0.0170, 0.0055, 0.0375], [0.0359, 0.0558, -0.0192], [-0.0212, -0.1275, 0.0268], [-0.0296, -0.0038, -0.0392], [0.0191, 0.0365, -0.0098], [0.0124, -0.0082, 0.0072], [-0.0010, -0.0177, -0.0092], [-0.0087, 0.0103, -0.0078], [0.0329, 0.0088, 0.0457], [-0.0124, 0.0067, 0.0022], [0.0028, -0.0329, -0.0326], [0.0890, 0.0346, 0.0233], [-0.0795, 0.0062, 0.0564], [-0.0186, -0.2042, -0.0483], [0.0838, -0.0075, 0.0254], [0.0220, 0.0181, 0.0146], [-0.0035, 0.0011, -0.0081], [-0.0105, -0.0193, 0.0042], [0.0168, 0.0200, -0.0165], [0.0036, 0.0268, 0.0248], [-0.0042, 0.0042, -0.0258], [-0.0007, 0.0029, 0.0027], [-0.0009, 0.0059, -0.0017], [-0.0009, 0.0076, -0.0022], [0.0031, 0.0031, -0.0042], [-0.0195, 0.0048, -0.0082], [0.0891, -0.1694, 0.0802], [-0.0011, 0.0009, 0.0002], [0.0166, 0.0011, 0.0136], [0.0004, -0.0001, 0.0018], [0.0003, -0.0001, 0.0019], [0.0024, 0.0005, 0.0035], [0.0001, -0.0010, -0.0027], [-0.0012, -0.0012, 0.0078], [-0.0079, 0.0080, 0.0003], [0.0011, 0.0018, 0.0016], [-0.0012, 0.0003, 0.0001], [-0.0021, 0.0034, -0.0010], [0.0014, -0.0007, -0.0033], [0.0008, 0.0031, -0.0020], [-0.0038, 0.0026, 0.0082], [0.0023, 0.0018, 0.0025], [-0.0022, -0.0020, 0.0021], [-0.0048, -0.0033, 0.0034], [-0.0009, -0.0038, 0.0048], [0.0026, -0.0008, -0.0040], [-0.0048, -0.0102, -0.0023]], "mulliken_charge": [-0.31, -0.77, -0.08, 0.69, -1.75, 0.72, -1.00, -0.56, -0.92, 0.09, 0.69, 0.63, -0.78, -0.60, -1.00, -0.66, 1.30, 0.60, 0.31, 0.52, 0.40, 0.49, 0.05, 0.62, 0.45, 0.51, 0.65, -1.31, -0.99, -0.86, 0.62, 0.83, -0.24, 0.96, -1.21, -0.52, -1.09, -0.25, 0.66, 0.56, 0.44, 0.43, 0.44, 0.38, 0.43, 0.45, 0.40, -1.52, 1.02, -1.28, -0.64, 0.32, -0.15, -0.93, 1.40, -0.06, 1.11, -1.17, -1.46, 0.60, -0.95, -0.69, -1.04, -0.59, 1.39, -1.02, -0.04, 0.77, -0.52, -0.80, -0.81, -1.01, 0.89, -1.31, -1.24, 1.24, 1.43, -0.44, 0.35, -0.43, -0.94, 0
~~~

Activity:
The reader should work out how many lines above have the word "C56H44N5O3S2Ti" in them; a number is enough.

Completed:
1